| Woodburn Priest's Arrest Focuses Attention on Mount Angel Abbey
By Nancy Haught
The Oregonian
August 18, 2012
Mount Angel Seminary was quiet Friday morning, awaiting the return of students this weekend.
The sound of men chanting early Friday morning drifted across the grounds of Mount Angel Abbey, where monks gathered for morning Mass as they have on this hilltop near Silverton for 130 years.
Mount Angel Seminary, housed in a half-dozen buildings clustered around the abbey, was waiting. On Aug. 19, new students will arrive as Oregon's only Catholic seminary grapples with a dark accusation about a prominent alumnus: the Rev. Angel Armando Perez, the pastor at St. Luke Parish in Woodburn, who now faces a charge of sex abuse involving a child.
The seminary, which has trained 80 percent of the 150 current and retired parish priests in western Oregon, has drastically altered the way it accepts and trains candidates for the priesthood since Perez was ordained near the height of the Catholic Church priest abuse scandal a decade ago.
People at Mount Angel, which enrolls about 200 students annually, say they have wracked their brains in the past week over whether they did all they could when preparing Perez for the priesthood. But they also say that they have gone to great lengths to ensure new priests emerging from the seminary are on solid ground, both spiritually and psychologically.
"Child abuse is horrific," says the Rev. Joseph V. Betschart, the current president rector of Mount Angel Seminary. "Our policies, procedures and training do everything that we can to prevent it from happening. When it does, it's tragic and unacceptable. We need to keep redoubling our efforts. And we will."
Tighter control
When Perez entered Mount Angel Seminary in 1996, a screening process was in place. But it was not as rigorous as it has become in the years since he was ordained in 2002.
The Rev. Patrick Brennan, pastor of St. Mary's Cathedral and president-rector of the seminary from 1990 to 2000, says that as early as the mid-1980s, seminary administrators had explored ways to screen applicants and monitor students, looking for signs of unhealthy or harmful sexual attitudes or behavior.
In the 1990s, the seminary required that the organization recommending an applicant to the seminary -- either a diocese or a religious community -- order a psychological evaluation of the candidate.
The sponsor was required to submit the evaluation along with an applicant's autobiographical essay, letters of recommendation, transcripts and other documents. The psychological test most often used asked a candidate to respond "true" or "false" to more than 500 statements such as, "I like children," "People often disappoint me" and "I am easily embarrassed."
A seminary admissions committee read the application and made a decision. Brennan said he made it a point to read the psychological evaluations himself.
[The text is interrupted by calculated molecules]
'''
98
Properties=species:S:1:pos:R:3:lowdin_spin:R:1 method="wB97M-V/def2-TZVPD" s2=2.039 homo_lumo_gap_ev="5.59 / 6.48" charge=-1 spin_multiplicity=3 de_lowest_kcal_mol=69.2
V -0.305 -1.446 -0.821 1.595
S 0.970 -2.067 1.445 -0.006
S 1.619 1.036 -3.346 0.006
P 0.864 -0.108 1.222 0.022
P 1.683 1.302 -1.417 0.009
O -1.661 -0.717 0.126 -0.010
O 2.224 -4.421 -2.998 -0.006
O -0.425 -4.862 0.281 0.005
O 0.521 -2.262 -1.936 0.005
N -1.362 -0.720 -2.248 -0.008
N -1.957 -3.643 -0.861 0.008
N -3.712 -2.763 -2.031 0.001
N -2.011 -3.797 1.506 0.003
N -2.351 0.082 -1.862 -0.001
C 3.441 1.277 -0.896 0.000
C 4.289 2.037 3.416 0.000
C -1.142 -0.869 -3.538 0.132
C -0.257 3.195 -1.457 0.001
C 3.917 0.150 -0.240 0.002
C -0.852 -0.212 3.375 0.000
C -1.058 1.815 2.106 0.001
C -0.496 0.556 2.275 0.002
C 1.163 5.298 -0.368 0.000
C -1.325 -4.194 2.710 0.000
C 3.321 2.762 2.742 0.000
C 2.214 0.718 2.149 0.007
C 0.747 0.187 -0.481 0.020
C -2.467 0.052 -0.542 0.034
C -5.036 2.714 0.052 -0.001
C -1.944 2.301 3.051 0.000
C 6.121 1.089 -0.222 0.000
C 1.428 -3.584 -3.728 -0.005
C 1.945 -4.602 -1.621 0.000
C 0.605 -2.572 -3.190 0.033
C 2.278 2.104 2.120 0.001
C -0.215 -1.793 -4.076 0.017
C -0.864 4.427 -1.309 0.000
C -1.390 -4.127 0.266 0.006
C 4.329 2.271 -1.292 0.000
C -3.178 -3.133 1.534 0.002
C -5.431 2.428 1.355 0.009
C -0.088 -1.984 -5.463 0.031
C 1.770 4.059 -0.499 0.001
C -1.741 0.275 4.314 0.000
C -3.910 0.573 1.399 0.007
C -3.819 -2.791 0.386 0.000
C 3.188 -0.008 2.819 0.000
C -4.085 1.939 -0.577 0.007
C -4.862 1.352 2.021 -0.001
C 5.660 2.187 -0.932 0.000
C 1.476 -3.765 -5.104 0.041
C 5.252 0.060 0.100 0.000
C -0.146 5.489 -0.778 0.001
C -3.495 0.855 0.093 0.000
C 4.218 0.655 3.459 0.000
C 1.067 3.003 -1.065 0.003
C -2.281 1.542 4.159 0.000
C 0.748 -2.952 -5.965 0.005
C -3.132 -3.049 -0.833 0.004
H 2.781 3.918 -0.146 0.000
H -2.980 1.930 4.889 0.000
H 2.474 -5.511 -1.339 0.000
H -5.487 3.549 -0.469 0.000
H 3.225 -0.656 -0.002 0.001
H -1.629 -5.200 3.011 0.000
H -2.389 3.276 2.919 0.000
H 2.304 -3.769 -1.004 0.000
H -4.755 -2.258 0.402 0.000
H -0.661 -1.354 -6.128 0.001
H -4.376 -2.005 -2.057 0.000
H 2.111 -4.552 -5.480 0.002
H -1.732 -0.249 -4.213 0.005
H 3.973 3.097 -1.892 0.000
H -2.006 -0.337 5.167 0.000
H -0.607 6.463 -0.686 0.000
H -0.256 -4.209 2.494 0.000
H 0.879 -4.746 -1.432 0.000
H -0.416 -1.201 3.470 0.000
H 5.619 -0.812 0.623 0.000
H -3.577 -2.898 2.515 0.000
H -0.832 2.392 1.220 0.001
H 5.096 2.553 3.917 0.000
H 3.131 -1.088 2.823 0.000
H -3.767 2.166 -1.583 0.000
H -0.802 2.354 -1.874 0.000
H -3.456 -0.262 1.913 0.000
H 7.162 1.029 0.065 0.000
H 1.718 6.119 0.062 0.000
H 0.844 -3.089 -7.035 -0.001
H 4.975 0.095 3.990 0.000
H 3.381 3.841 2.702 0.000
H -5.171 1.124 3.035 0.000
H 1.510 2.658 1.601 0.000
H 6.345 2.979 -1.205 0.000
H -3.084 -2.813 -2.823 0.001
H -1.898 4.563 -1.599 0.000
H -1.532 -3.483 3.509 0.000
H -6.173 3.039 1.851 0.001

***

10
'''
[So much for the calculated molecules]
"If there was any indication that something was inappropriate, that person was not admitted," he said.
But Monsignor Richard Paperini, who became president-rector of the seminary in 2001, wanted to do more.
At a time when priest abuse was beginning to gain national publicity, Paperini asked diocese and religious orders to pay for an additional type of psychological test beyond the one instituted by Brennan. Paperini recommended tests that posed open-ended questions.
For example, a candidate could be asked to describe his thoughts about an abstract inkblot, or to make up a story when shown a picture of a child holding a violin, or to finish an incomplete sentence, "My mother always ...."
Paperini instituted criminal background checks for applicants in 2005 and says that at least twice he asked students to leave the seminary because of information that the background checks revealed.
In his 12-year tenure, Paperini says, he dismissed students "numerous times for a number of reasons; most often for inappropriate conduct, but sometimes for sexual issues."
Sometimes, he says, he's taken heat from students or their supporters.
What comes next are calculated molecules, not part of the entry >
(1)
2 unconnected molecules or ions with the total composition C6H6N2O2. Source: the Open Molecules 2025 dataset; level of theory: wB97M-V/def2-TZVPD.

```
! RIJCOSX wB97M-V def2-TZVPD def2/J DEFGRID3
* xyz 0 1
N 0.611 1.524 3.843
C -0.378 2.428 4.339
C -2.621 0.062 2.958
C 1.247 2.235 1.630
N 0.796 2.822 0.726
O 1.795 0.152 2.508
C 1.346 1.256 2.755
H -0.962 2.999 3.616
H -0.464 0.429 5.339
H -0.140 2.930 5.278
H -3.602 -0.235 2.630
H 0.418 -0.914 1.543
H -0.673 -0.120 0.537
C -1.562 0.325 3.484
C -0.591 0.929 4.376
O -0.070 -0.939 0.706
*
```

E_LUMO, Eh: -0.0065
Energy above the lowest of the compared OMol25 structures with the same formula, charge and spin, kcal/mol: 111.1
SMILES: C#C[C@@H]1CN1C(=O)C#N.O
Maximum force, Eh/bohr: 0.0625
Highest occupied orbital energy, eV: -10.502

=====

(2)
A molecular structure, C43H39F3N4O4S2. Source: the Open Molecules 2025 dataset; level of theory: wB97M-V/def2-TZVPD.

```
! RIJCOSX wB97M-V def2-TZVPD def2/J DEFGRID3
* xyz 0 1
H -2.350 6.780 -6.449
C -1.589 3.772 1.408
C -2.078 -0.562 -2.670
H -4.179 -2.467 3.781
C -1.753 -1.907 1.707
F 0.739 -0.684 2.483
O -2.915 0.762 5.543
C -2.080 5.797 -6.859
C 0.336 2.331 0.511
H 2.370 0.153 -0.992
C -1.798 1.381 -1.666
H -0.446 -2.543 -1.090
C 1.176 2.805 1.572
H -0.075 3.812 -1.920
H -2.439 -2.776 4.062
H -4.695 1.764 -3.832
S -0.477 3.537 4.986
H -1.112 -4.277 -5.223
H -0.278 5.468 -4.901
H 0.879 4.471 -3.261
H 0.497 -2.316 0.397
C -3.542 -0.114 0.524
H -3.769 0.686 -4.905
C -2.411 -4.759 -3.537
C -1.803 2.423 6.913
H 0.286 -0.943 -0.718
C -1.466 -1.405 0.427
H -2.431 -5.833 -3.758
H -3.704 -4.866 -1.766
C -3.054 -2.863 -2.152
C -3.175 -2.015 3.766
C -2.067 1.661 5.679
N -1.882 0.312 -3.628
C -4.128 1.719 -4.768
H -2.807 5.557 -7.641
C -2.056 4.726 -5.809
H -1.554 4.601 0.694
C -1.601 -2.524 -4.059
H -2.420 2.904 10.231
S -1.013 1.311 2.246
F 1.148 0.965 3.965
C -3.038 2.737 -4.794
H -1.100 5.908 -7.331
C -1.983 2.713 -3.846
C -2.014 3.059 9.217
C -3.112 -4.234 -2.439
C -3.049 3.749 -5.757
H -3.143 -1.169 4.477
O 0.948 3.633 4.922
C -0.960 3.682 -3.885
C -1.211 4.205 8.963
N -2.105 0.068 -1.429
O -1.153 4.687 4.385
H -0.043 5.290 7.439
C 0.861 1.482 -0.439
C -2.312 2.152 8.183
H 0.828 2.731 -2.997
H 0.300 1.255 -1.361
H -0.991 4.911 9.772
H -4.826 1.952 -5.589
C 2.066 0.862 -0.209
H -4.881 0.395 -1.107
C -1.125 2.489 0.721
H -2.650 3.498 1.609
C -2.258 -1.996 -2.930
C -1.662 -3.892 -4.357
H -4.561 -0.152 2.433
C -1.915 2.426 -0.610
N -1.872 1.563 -3.006
O -2.663 3.371 -0.923
C -0.216 -1.822 -0.284
H -3.606 -2.459 -1.305
H -1.134 4.191 2.327
C 2.375 2.141 1.842
C -2.885 -1.507 2.399
H -1.016 -1.837 -4.663
C -0.993 3.498 6.687
H 0.818 3.708 2.080
C -1.040 4.686 -4.857
H -3.854 3.795 -6.499
C -3.738 -0.558 1.833
H -4.266 1.813 -0.198
H 3.765 0.647 1.161
F -0.532 -0.415 4.314
N -1.191 2.141 4.748
H 2.970 2.369 2.734
C 2.812 1.169 0.950
C -0.690 4.429 7.670
C 0.133 0.294 3.319
H -1.091 -2.632 2.178
C -2.382 -0.515 -0.147
C 0.217 3.645 -2.962
H -5.461 0.727 0.539
End of the calculated molecules >
"I tried to make decisions based on the church's best interests," he says.
His approach was supported by Vatican officials who visited Mount Angel and other U.S. seminaries in 2006 to review policies and practices in light of the clergy abuse scandal. They recommended roughly 20, mostly minor, changes Mount Angel might make, Paperini recalls.
"'When you dismiss students, do so for the best interests of the church, lest they be an embarrassment,'" Paperini remembers the Vatican inspectors advising him. "That made sense to me."
Close watch
For many years, seminaries emphasized theological knowledge, canon law and preaching skills. Paperini tried to create a system that would develop other facets of students' characters -- and keep more eyes on them.
Where a student previously had one adviser, for spiritual concerns, the seminary began assigning four. These advisers, priests on the faculty or monks from the abbey, would assist and assess students in the following areas: spirituality; intellectual growth; pastoral skills; and "human formation," the building of a whole, mature person. Under the new system, a student must meet with each of his advisers every few weeks during the school year.
"Issues regarding sexuality could easily come up and did," Paperini said.
Although communications with spiritual advisers are confidential, other student advisers could share what they had heard and seen with Paperini.
"What students said could and did get relayed to me," he said. "All serious concerns went to their bishops."
[1]
**The page goes on:**
Paperini had three meetings a week with the advisers as a group. Each meeting focused intensively on the progress of four students. All nine priests who served as advisers to candidates for the priesthood could weigh in.
"Our role is to confront everything we see that is serious in a candidate," Paperini said, "especially their character flaws."
National change
The changes that Paperini instituted at Mount Angel reflect a national shift in thinking about how seminaries should operate.
Margaret Smith, a criminologist at New York's John Jay College, says seminaries are paying more attention to what it takes to live an adult life "as a chaste and celibate man."
"Our understanding as a culture has changed," said Smith, whose field of study is sexual abuse. "In the 1950s and 1960s, there was very little talk about sexuality in seminary. Now we see things differently, recognize things in advance and try to prevent situations where sexual abuse can occur.
"We are making some progress, but sexual deviance is notoriously difficult to predict," she says. "The boundary between human intimacy and human sexuality is thin and porous."
Fernando Ortiz, a psychologist who has consulted with Mount Angel and other seminaries, agrees.
"It's a human reality that in society there are psychopaths, sociopaths, people with severe psychopathology who can manipulate and navigate the system," said Ortiz, who is head of the Counseling Center at Gonzaga University in Spokane. "Even with rigorous tools, it could happen. It has happened."
For Paperini, who left Mount Angel in June, last week's events in Woodburn hit especially hard.
He has known Perez since 1995, after the younger man arrived in Oregon considering the priesthood. In fact, Paperini said, Perez lived with him and another priest, the Rev. David Zegar, for a year while the two pastors were assigned to St. Luke Parish. Paperini was on the faculty of Mount Angel when Perez became a student and was president when Perez graduated.
"He was a delight," Paperini remembers. "I even told him I was glad he wanted to be a priest."